== Entries ==
********
1.
For TcNiP2Se, a cell relaxed with PBE gives the theoretical powder X-ray diffraction pattern in this record (CuKα).

Largest 12 diffraction maxima, in order of rising 2θ, 2θ from 10° to 80°:
2theta  intensity
14.05  30.6
27.26  100.0
29.49  43.4
33.93  22.5
38.77  18.0
43.04  17.4
44.71  38.8
44.93  21.5
46.18  17.2
46.31  35.2
46.89  27.9
51.00  13.7

Structure:
```
5
Lattice="3.472 -1.938 0.000 3.472 1.938 0.000 -3.411 0.000 6.305" Properties=species:S:1:pos:R:3 pbc="T T T"
Tc 0.000 0.000 0.000
Ni -1.250 0.000 2.493
P 0.964 0.000 2.189
P 4.648 0.000 0.575
Se -1.146 0.000 4.847
```

---

2.
For TcNiP2Se, a cell relaxed with PBE gives the theoretical powder X-ray diffraction pattern in this record (CuKα).

Largest 12 diffraction maxima, in order of rising 2θ, 2θ from 10° to 80°:
2theta  intensity
10.40  69.5
20.88  41.5
31.46  91.8
34.34  29.8
35.98  30.1
40.05  100.0
42.45  41.4
47.75  27.6
50.65  54.3
55.62  59.9
70.72  17.6
72.42  20.2

Structure:
```
5
Lattice="1.652 0.954 8.507 -1.652 0.954 8.507 0.000 -1.908 8.507" Properties=species:S:1:pos:R:3 pbc="T T T"
Tc 0.000 0.000 0.000
Ni 0.000 0.000 2.722
P 0.000 0.000 6.959
P 0.000 0.000 9.975
Se 0.000 0.000 21.196
```

---

3.
For SiNi4P2, a cell relaxed with PBE gives the theoretical powder X-ray diffraction pattern in this record (CuKα).

Largest 12 diffraction maxima, in order of rising 2θ, 2θ from 10° to 80°:
2theta  intensity
19.34  11.8
33.10  17.6
36.51  16.0
39.26  12.0
39.53  11.6
39.90  56.5
40.28  12.0
44.72  56.3
47.74  12.3
48.07  100.0
48.63  12.6
51.54  42.8

Structure:
```
28
Lattice="9.178 0.000 0.000 0.000 3.546 0.000 0.000 0.000 10.254" Properties=species:S:1:pos:R:3 pbc="T T T"
Si 2.070 0.887 1.461
Si 2.520 2.660 6.588
Si 6.659 0.887 3.666
Si 7.109 2.660 8.793
Ni 0.380 2.660 8.196
Ni 0.899 2.660 0.460
Ni 1.019 0.887 6.409
Ni 1.445 2.660 2.915
Ni 3.144 0.887 8.043
Ni 3.570 2.660 1.281
Ni 3.690 0.887 5.587
Ni 4.209 0.887 3.069
Ni 4.969 2.660 7.185
Ni 5.488 2.660 4.667
Ni 5.608 0.887 8.973
Ni 6.034 2.660 2.212
Ni 7.733 0.887 7.339
Ni 8.159 2.660 3.846
Ni 8.279 0.887 9.794
Ni 8.798 0.887 2.058
P 0.573 0.887 4.154
P 1.332 0.887 9.247
P 3.257 2.660 4.120
P 4.017 2.660 9.281
P 5.162 0.887 0.973
P 5.921 0.887 6.134
P 7.846 2.660 1.007
P 8.606 2.660 6.100
```

---

4.
For Si2Ni21P6, a cell relaxed with PBE gives the theoretical powder X-ray diffraction pattern in this record (CuKα).

Largest 12 diffraction maxima, in order of rising 2θ, 2θ from 10° to 80°:
2theta  intensity
22.91  10.8
36.60  4.5
40.23  13.0
42.79  100.0
46.80  29.6
49.08  28.6
49.83  23.3
55.51  10.2
73.13  15.2
74.89  12.2
77.80  5.4
79.53  7.0

Structure:
```
29
Lattice="0.000 5.490 5.490 5.490 0.000 5.490 5.490 5.490 0.000" Properties=species:S:1:pos:R:3 pbc="T T T"
Si 2.745 2.745 2.745
Si 8.235 8.235 8.235
Ni 0.000 0.000 0.000
Ni 1.905 1.905 0.000
Ni 3.585 3.585 0.000
Ni 1.905 0.000 1.905
Ni 5.490 3.585 1.905
Ni 3.585 0.000 3.585
Ni 5.490 1.905 3.585
Ni 6.855 4.125 4.125
Ni 0.000 1.905 1.905
Ni 3.585 5.490 1.905
Ni 3.585 1.905 5.490
Ni 4.125 4.125 4.125
Ni 6.855 6.855 4.125
Ni 6.855 4.125 6.855
Ni 4.125 6.855 4.125
Ni 4.125 4.125 6.855
Ni 6.855 6.855 6.855
Ni 0.000 3.585 3.585
Ni 1.905 5.490 3.585
Ni 1.905 3.585 5.490
Ni 4.125 6.855 6.855
P 5.490 5.490 2.923
P 5.490 2.923 5.490
P 8.057 5.490 5.490
P 2.923 5.490 5.490
P 5.490 8.057 5.490
P 5.490 5.490 8.057
```

---

5.
For SiNi2P, a cell relaxed with PBE gives the theoretical powder X-ray diffraction pattern in this record (CuKα).

Largest 12 diffraction maxima, in order of rising 2θ, 2θ from 10° to 80°:
2theta  intensity
30.27  80.6
35.33  29.1
36.01  23.4
40.69  19.5
47.74  100.0
49.00  20.0
50.30  19.3
53.77  41.0
58.04  7.8
66.42  6.8
74.72  13.5
75.72  5.4

Structure:
```
32
Lattice="4.987 0.000 0.000 0.000 13.643 0.000 0.000 0.000 5.903" Properties=species:S:1:pos:R:3 pbc="T T T"
Si 0.908 0.814 0.455
Si 0.908 6.007 3.406
Si 1.586 7.635 0.455
Si 1.586 12.828 3.406
Si 3.401 0.814 2.496
Si 3.401 6.007 5.448
Si 4.079 7.635 2.496
********

== Assignment ==
Your job: give back all of the material above verbatim.

== Result ==
1.
For TcNiP2Se, a cell relaxed with PBE gives the theoretical powder X-ray diffraction pattern in this record (CuKα).

Largest 12 diffraction maxima, in order of rising 2θ, 2θ from 10° to 80°:
2theta  intensity
14.05  30.6
27.26  100.0
29.49  43.4
33.93  22.5
38.77  18.0
43.04  17.4
44.71  38.8
44.93  21.5
46.18  17.2
46.31  35.2
46.89  27.9
51.00  13.7

Structure:
```
5
Lattice="3.472 -1.938 0.000 3.472 1.938 0.000 -3.411 0.000 6.305" Properties=species:S:1:pos:R:3 pbc="T T T"
Tc 0.000 0.000 0.000
Ni -1.250 0.000 2.493
P 0.964 0.000 2.189
P 4.648 0.000 0.575
Se -1.146 0.000 4.847
```

---

2.
For TcNiP2Se, a cell relaxed with PBE gives the theoretical powder X-ray diffraction pattern in this record (CuKα).

Largest 12 diffraction maxima, in order of rising 2θ, 2θ from 10° to 80°:
2theta  intensity
10.40  69.5
20.88  41.5
31.46  91.8
34.34  29.8
35.98  30.1
40.05  100.0
42.45  41.4
47.75  27.6
50.65  54.3
55.62  59.9
70.72  17.6
72.42  20.2

Structure:
```
5
Lattice="1.652 0.954 8.507 -1.652 0.954 8.507 0.000 -1.908 8.507" Properties=species:S:1:pos:R:3 pbc="T T T"
Tc 0.000 0.000 0.000
Ni 0.000 0.000 2.722
P 0.000 0.000 6.959
P 0.000 0.000 9.975
Se 0.000 0.000 21.196
```

---

3.
For SiNi4P2, a cell relaxed with PBE gives the theoretical powder X-ray diffraction pattern in this record (CuKα).

Largest 12 diffraction maxima, in order of rising 2θ, 2θ from 10° to 80°:
2theta  intensity
19.34  11.8
33.10  17.6
36.51  16.0
39.26  12.0
39.53  11.6
39.90  56.5
40.28  12.0
44.72  56.3
47.74  12.3
48.07  100.0
48.63  12.6
51.54  42.8

Structure:
```
28
Lattice="9.178 0.000 0.000 0.000 3.546 0.000 0.000 0.000 10.254" Properties=species:S:1:pos:R:3 pbc="T T T"
Si 2.070 0.887 1.461
Si 2.520 2.660 6.588
Si 6.659 0.887 3.666
Si 7.109 2.660 8.793
Ni 0.380 2.660 8.196
Ni 0.899 2.660 0.460
Ni 1.019 0.887 6.409
Ni 1.445 2.660 2.915
Ni 3.144 0.887 8.043
Ni 3.570 2.660 1.281
Ni 3.690 0.887 5.587
Ni 4.209 0.887 3.069
Ni 4.969 2.660 7.185
Ni 5.488 2.660 4.667
Ni 5.608 0.887 8.973
Ni 6.034 2.660 2.212
Ni 7.733 0.887 7.339
Ni 8.159 2.660 3.846
Ni 8.279 0.887 9.794
Ni 8.798 0.887 2.058
P 0.573 0.887 4.154
P 1.332 0.887 9.247
P 3.257 2.660 4.120
P 4.017 2.660 9.281
P 5.162 0.887 0.973
P 5.921 0.887 6.134
P 7.846 2.660 1.007
P 8.606 2.660 6.100
```

---

4.
For Si2Ni21P6, a cell relaxed with PBE gives the theoretical powder X-ray diffraction pattern in this record (CuKα).

Largest 12 diffraction maxima, in order of rising 2θ, 2θ from 10° to 80°:
2theta  intensity
22.91  10.8
36.60  4.5
40.23  13.0
42.79  100.0
46.80  29.6
49.08  28.6
49.83  23.3
55.51  10.2
73.13  15.2
74.89  12.2
77.80  5.4
79.53  7.0

Structure:
```
29
Lattice="0.000 5.490 5.490 5.490 0.000 5.490 5.490 5.490 0.000" Properties=species:S:1:pos:R:3 pbc="T T T"
Si 2.745 2.745 2.745
Si 8.235 8.235 8.235
Ni 0.000 0.000 0.000
Ni 1.905 1.905 0.000
Ni 3.585 3.585 0.000
Ni 1.905 0.000 1.905
Ni 5.490 3.585 1.905
Ni 3.585 0.000 3.585
Ni 5.490 1.905 3.585
Ni 6.855 4.125 4.125
Ni 0.000 1.905 1.905
Ni 3.585 5.490 1.905
Ni 3.585 1.905 5.490
Ni 4.125 4.125 4.125
Ni 6.855 6.855 4.125
Ni 6.855 4.125 6.855
Ni 4.125 6.855 4.125
Ni 4.125 4.125 6.855
Ni 6.855 6.855 6.855
Ni 0.000 3.585 3.585
Ni 1.905 5.490 3.585
Ni 1.905 3.585 5.490
Ni 4.125 6.855 6.855
P 5.490 5.490 2.923
P 5.490 2.923 5.490
P 8.057 5.490 5.490
P 2.923 5.490 5.490
P 5.490 8.057 5.490
P 5.490 5.490 8.057
```

---

5.
For SiNi2P, a cell relaxed with PBE gives the theoretical powder X-ray diffraction pattern in this record (CuKα).

Largest 12 diffraction maxima, in order of rising 2θ, 2θ from 10° to 80°:
2theta  intensity
30.27  80.6
35.33  29.1
36.01  23.4
40.69  19.5
47.74  100.0
49.00  20.0
50.30  19.3
53.77  41.0
58.04  7.8
66.42  6.8
74.72  13.5
75.72  5.4

Structure:
```
32
Lattice="4.987 0.000 0.000 0.000 13.643 0.000 0.000 0.000 5.903" Properties=species:S:1:pos:R:3 pbc="T T T"
Si 0.908 0.814 0.455
Si 0.908 6.007 3.406
Si 1.586 7.635 0.455
Si 1.586 12.828 3.406
Si 3.401 0.814 2.496
Si 3.401 6.007 5.448
Si 4.079 7.635 2.496